Time to get out your Bingo card. August 22nd's email from management means you can cross off the typical company anti-union response: “Have you done your research?”
But hey, we’re journalists. We love research!!! So here’s some information Gannett didn’t share.
Q. How might a union contract impact reporters’ flexible work hours?
What comes next are calculated molecules, not part of the text:
{
  "formula": "C20H29N3O4S",
  "method": "ωB97M-V/def2-TZVPD",
  "charge": 0,
  "energy_ha": -1642.17431,
  "symbols": ["C", "H", "H", "H", "C", "C", "C", "C", "C", "C", "C", "H", "H", "S", "O", "O", "N", "C", "H", "C", "N", "C", "O", "C", "C", "H", "H", "C", "N", "C", "O", "C", "H", "H", "H", "C", "C", "H", "H", "H", "H", "H", "H", "H", "C", "H", "C", "H", "H", "H", "H", "H", "H", "H", "H", "H", "H"],
  "positions_angstrom": [[6.697816, 3.460691, 0.219015], [7.304662, 2.912073, -0.667585], [7.122572, 4.590896, 0.079401], [7.008192, 2.996440, 1.057664], [5.154030, 3.184613, -0.184641], [4.641238, 1.838005, 0.058572], [4.292062, 1.188901, 1.384599], [4.006774, -0.000283, 1.141456], [3.943426, -0.726503, -0.002984], [4.347358, -0.216142, -1.130534], [4.601932, 1.366782, -1.140784], [4.806135, 1.726475, -2.204956], [4.311551, -0.959781, -2.124860], [3.475068, -2.367458, 0.172101], [3.958531, -3.163661, -1.134686], [3.604061, -3.023993, 1.570268], [1.831707, -2.525244, -0.013500], [1.011494, -1.866095, 1.116418], [1.572843, -2.123546, 1.886143], [-0.454950, -2.161632, 0.994515], [-0.957760, -1.742560, -0.490769], [-1.862098, -0.597634, -0.490201], [-1.888368, -0.146506, -1.719738], [-2.590529, -0.087127, 0.715386], [-3.187987, 1.374553, -0.052574], [-2.364247, 1.888128, -0.275997], [-3.535100, 1.480641, 1.110357], [-4.323074, 1.195054, -0.811988], [-5.391064, 0.050792, -0.139528], [-6.519183, 0.308718, 0.290533], [-7.217062, -0.403496, 0.702219], [-7.107967, 1.731258, -0.103714], [-8.060295, 1.831613, 0.430243], [-7.113170, 1.891193, -1.054635], [-6.500590, 2.410063, 0.568856], [-4.687090, -1.017679, -0.004385], [-3.579912, -1.128601, 0.820734], [-3.185725, -2.108692, 1.409644], [-4.049451, -0.749841, 1.956221], [-5.636034, -1.757107, 0.402588], [-4.253894, -1.665389, -0.834409], [-4.968853, 2.070264, -0.721594], [-4.073389, 0.605843, -1.699600], [-1.876259, -0.097702, 1.391073], [-0.248668, -2.228698, -1.574517], [-0.394098, -1.953461, -2.443824], [1.412374, -2.018501, -1.311473], [2.070211, -2.551513, -2.071647], [1.463081, -0.724757, -1.557791], [-0.373834, -3.312591, -1.437703], [-0.979675, -1.759107, 1.655484], [-0.471777, -3.258110, 0.838897], [1.317618, -0.650761, 0.962979], [3.862956, -0.599142, 2.292653], [4.531685, 1.826494, 2.246070], [4.684596, 4.014923, 0.980320], [4.818146, 3.748895, -1.053765]],
Let’s ask an Indy Star reporter who is part of the Guild but not a leader:
== What comes next are molecular data, not part of the piece ==
C27H21BeN5O4S | ωB97M-V/def2-TZVPD

Geometry as ORCA input:
```
! RIJCOSX wB97M-V def2-TZVPD def2/J DEFGRID3
* xyz 0 1
Be -0.549 2.057 -2.234
C -1.295 -4.561 3.580
O -0.173 -4.292 2.764
C 0.534 -3.161 3.014
C 0.382 -2.362 4.141
C 1.147 -1.214 4.288
C 2.035 -0.819 3.294
C 2.202 -1.646 2.176
C 1.482 -2.812 2.053
N 2.861 0.308 3.511
N 3.197 1.092 2.607
C 2.569 1.196 1.353
C 3.396 1.349 0.252
C 2.930 1.478 -1.058
C 1.567 1.550 -1.303
O 0.989 1.695 -2.463
C 0.707 1.524 -0.161
N -0.585 1.774 -0.474
C -1.498 1.766 0.467
C -1.155 1.563 1.810
C 0.162 1.380 2.156
C 1.157 1.319 1.157
H -1.815 -5.389 3.106
H -1.964 -3.698 3.633
H -0.999 -4.854 4.591
H -0.316 -2.632 4.922
H 1.029 -0.597 5.170
H 2.922 -1.373 1.416
H 1.631 -3.468 1.205
H 4.463 1.309 0.438
H 3.627 1.534 -1.883
H -2.519 1.958 0.159
H -1.926 1.594 2.566
H 0.436 1.314 3.197
O -3.926 3.036 -2.935
C -2.723 2.942 -2.805
O -2.001 1.869 -2.820
C -1.866 4.186 -2.608
C -2.303 5.495 -2.680
C -1.356 6.504 -2.592
C -0.016 6.170 -2.428
C 0.329 4.835 -2.319
N -0.587 3.876 -2.400
H -3.357 5.701 -2.803
H -1.654 7.542 -2.662
H 0.750 6.930 -2.382
H 1.352 4.507 -2.180
S -0.286 -1.061 -2.371
C -0.595 -2.685 -2.203
N -1.029 -3.423 -3.277
C -1.189 -4.770 -3.265
C -0.953 -5.481 -2.136
C -0.562 -4.777 -0.967
C -0.402 -3.428 -0.998
H -1.188 -2.893 -4.122
H -1.506 -5.224 -4.192
H -1.065 -6.554 -2.129
H -0.391 -5.321 -0.046
H -0.107 -2.860 -0.129
*
```

Properties
Frontier orbital gap in eV: 7.05
LUMO level in eV: -0.21
Calculated total energy in Ha: -2029.3138

CH5N2S | ωB97M-V/def2-TZVPD

Geometry as ORCA input:
```
! RIJCOSX wB97M-V def2-TZVPD def2/J DEFGRID3
* xyz 1 1
C -0.712 -0.576 0.137
N 1.322 -0.889 0.002
N -1.269 0.533 0.236
S 2.229 0.480 -0.035
H -0.941 -1.622 -0.020
H 1.304 -1.305 0.922
H -2.241 0.659 -0.018
H -0.800 1.396 0.575
H 2.419 0.479 -1.305
*
```

Properties
Frontier orbital gap (spin up / spin down) in eV: 8.30 / 8.30
Energy above the lowest of the compared OMol25 structures with the same formula, charge and spin in kJ/mol: 362.93
LUMO level (spin up / spin down) in eV: -5.55 / -5.55
Calculated total energy in Ha: -548.3993

C4H11NO2 | ωB97M-V/def2-TZVPD

Geometry as ORCA input:
```
! RIJCOSX wB97M-V def2-TZVPD def2/J DEFGRID3
* xyz 0 1
C 0.404 1.964 -1.991
N 0.788 1.491 -0.668
C 0.553 0.090 -0.289
C 0.397 -0.031 1.240
C 0.541 -1.442 1.742
O 1.412 -2.193 1.392
H 1.275 1.966 -2.658
H -0.388 1.294 -2.325
H -0.025 2.956 -1.897
H 1.687 1.648 -0.245
H -0.364 -0.198 -0.802
H 1.407 -0.579 -0.498
H -0.636 0.259 1.454
H 0.941 0.716 1.812
H -0.381 -1.945 2.100
O -3.149 -0.307 -0.740
H -3.298 0.460 -0.217
H -3.370 -0.053 -1.642
*
```

Properties
Frontier orbital gap in eV: 9.12
Energy above the lowest of the compared OMol25 structures with the same formula, charge and spin in kJ/mol: 220.05
LUMO level in eV: 0.66
Calculated total energy in Ha: -364.1844

C11H46N10O12 | ωB97M-V/def2-TZVPD

Geometry as ORCA input:
```
! RIJCOSX wB97M-V def2-TZVPD def2/J DEFGRID3
* xyz 0 1
O 6.819 4.768 8.408
H 6.610 4.091 9.052
“Work hours are flexible, as is where you work, though some of this is dependent on job title and who your manager is and what expectations are. The folks on the digital side, for instance, work out of the office almost all the time. The folks in sports are rarely here. Most of the rest of us are somewhere in between. A lot of this arrangement has to do with what I perceive to be a strong, positive working relationship between most of middle management and reporters.”
Sounds a lot like our newsroom, doesn’t it?
Here’s the difference:
Indy’s flexible work hours are protected in a contract: “Employer will permit flexible hours, job-sharing and work out of homes when both the employee and the department head agree on this arrangement.”
In our newsroom, the company can change our flexible work styles at any moment without our input. With a union, we all get to decide what we value and vote to protect those benefits in our contract.
Q. Do union workers in other Gannett newsrooms get the same number of paid vacation days as the Phoenix newsroom?
Oddly, Gannett omitted the fact that we have 0 sick days, while other unionized Gannett papers have multiple sick days and personal days. The email also misleadingly presented the years in which employees earn additional paid time off.
When looking at the actual totals, you will see that some unionized Gannett papers receive more time off than we do and more time off than non-unionized GateHouse papers.
Republic (Non-Union)
0 sick days
3 floating holidays
0-2 years: 15 personal days
3-9 years: 25 personal days
10-24: 28 personal days
25+ years: 32 personal days
TOTAL: 18-35 days
GateHouse (Non-Union)
5 sick days
2 floating holidays
5 personal days
0-5 years: 10 vacation days
6-10 years: 15 vacation days
11+ years: 20 vacation days
TOTAL: 22-32 days
Indy (Union) 10 sick days 7 personal days 3 months-1 year: 5 vacation days 1-4 years: 10 vacation days 5-11 years: 15 vacation days 12+ years: 20 vacation days TOTAL: 22-37 days
Q. If the Guild is voted in, will reporters who are currently exempt be changed to hourly non-exempt?
We will decide together what we want in our contract. We don't have to request a change to our number of salaried workers, but if we wish to negotiate for hourly employment, we could see advantages.
Data records from another source follow
+++
<one>
This record from OMol25 describes a single C12H14N2O molecule. The level of theory is wB97M-V/def2-TZVPD.

```
! wB97M-V def2-TZVPD RIJCOSX def2/J DEFGRID3
* xyz 0 1
C 1.86 1.62 -2.43
C 1.65 0.37 -1.58
C 1.02 0.63 -0.22
N 1.67 1.56 0.56
O -0.54 1.28 -0.63
C -1.42 0.44 -0.11
C -2.80 0.60 -0.17
C -3.61 -0.35 0.43
C -3.08 -1.44 1.09
C -1.70 -1.61 1.15
C -0.89 -0.67 0.56
C 0.62 -0.67 0.53
C 1.23 -0.76 1.94
C 1.03 -1.86 -0.19
N 1.30 -2.85 -0.68
H 0.90 2.07 -2.67
H 2.36 1.34 -3.35
H 2.48 2.35 -1.92
H 2.60 -0.14 -1.41
H 0.99 -0.32 -2.12
H 1.90 2.41 0.06
H 1.20 1.77 1.43
H -3.21 1.45 -0.69
H -4.68 -0.23 0.37
H -3.73 -2.17 1.55
H -1.27 -2.46 1.66
H 0.68 -0.11 2.63
H 2.27 -0.47 1.93
H 1.16 -1.78 2.30
*
```

Properties
* SMILES: CC[C@@]1(N)Oc2ccccc2[C@@]1(C)C#N
* E_HOMO: -8.226 eV

Atomic partial charges in e from the Mulliken method, atoms 1 to 5: number 1, C, carries -1.4220; number 2, C, carries -0.6412; number 3, C, carries 0.6388; number 4, N, carries -0.4560; number 5, O, carries -0.5834

<two>
This record from OMol25 describes a single C12H14N2O molecule. The level of theory is wB97M-V/def2-TZVPD.

```
! wB97M-V def2-TZVPD RIJCOSX def2/J DEFGRID3
* xyz 0 1
C -1.68 3.15 0.73
C -1.82 1.97 0.58
C -2.43 0.74 0.27
C -3.61 0.36 1.05
C -4.12 -0.90 0.74
C -3.64 -1.68 -0.34
C -2.52 -1.29 -1.08
C -1.93 -0.01 -0.82
C -0.82 0.51 -1.68
O -0.98 0.41 -2.87
N 0.29 1.21 -1.29
N 0.74 1.17 0.05
C 1.87 0.19 0.31
C 3.14 0.51 -0.44
C 1.18 -1.16 0.10
H -1.51 4.24 0.90
H -4.04 1.07 1.74
H -5.10 -1.21 1.21
H -4.25 -2.45 -0.59
H -2.11 -1.84 -1.88
H 0.79 1.62 -2.10
H 0.92 2.08 0.28
H 1.96 0.34 1.44
H 3.58 1.52 -0.57
H 3.78 -0.17 -0.05
H 2.84 0.24 -1.45
H 1.85 -1.98 0.59
H 0.86 -1.30 -0.89
H 0.26 -1.20 0.73
*
```

Properties
* SMILES: C#Cc1ccccc1C(=O)NNC(C)C
* E_HOMO: -8.684 eV

Atomic partial charges in e from the Mulliken method, atoms 1 to 5: number 1, C, carries -0.0131; number 2, C, carries -0.7404; number 3, C, carries 1.2730; number 4, C, carries -0.8670; number 5, C, carries -0.2909

Short version: <one> is the most stable of them.

<one>
This record from OMol25 describes a gas-phase ion, C2H6N2P (charge +1). The level of theory is wB97M-V/def2-TZVPD.

```
! wB97M-V def2-TZVPD RIJCOSX def2/J DEFGRID3
* xyz 1 1
C 0.62 -1.82 -0.05
N 1.24 -0.70 0.06
P 1.69 0.75 0.15
C -0.09 1.52 -0.11
N -1.17 0.52 0.14
H 0.43 -2.30 -0.98
H 0.18 -2.32 0.87
H -0.32 1.78 -1.14
H -0.04 2.44 0.48
H -1.14 -0.22 -0.54
H -1.40 0.34 1.12
*
```

Properties
* SMILES: C=[N+]=PCN
* E_HOMO: -13.884 eV

Atomic partial charges in e from the Mulliken method, atoms 1 to 5: number 1, C, carries -0.2219; number 2, N, carries 0.0231; number 3, P, carries 0.2998; number 4, C, carries -0.4884; number 5, N, carries -0.5218

<two>
This record from OMol25 describes a gas-phase ion, C2H6N2P (charge +1). The level of theory is wB97M-V/def2-TZVPD.

```
! wB97M-V def2-TZVPD RIJCOSX def2/J DEFGRID3
* xyz 1 1
C -1.21 0.27 0.03
N -0.43 1.19 0.53
P 1.33 0.96 0.43
C 0.89 -0.61 -0.60
N -0.63 -0.75 -0.50
+++
At the Indy Star, nearly all non-management employees are hourly, unlike the Republic, where many of us — especially veteran journalists — are salaried and ineligible for OT.
Indy’s OT policies also are more generous than ours:
If an Indy employee is called back to work after completing a full shift, they receive a minimum of 3 hours OT pay no matter how long they work. If an Indy employee is called in on their day off, they receive a minimum of 4.5 hours OT pay.
At the Republic, it doesn't work that way.
We’ve all had to leave a family dinner or interrupt a vacation to put in extra hours, often without getting “comp time” or pay. With a union, we could negotiate a system that allows our newsroom to act quickly, while fairly compensating people for their work.
Q: Is the organizing drive a Millennial conspiracy?
Of course not. This is a newsroom-wide effort, meaning there are many supporters in every department and among every demographic, including among our most respected veterans. Would a union be successful if it didn’t represent everyone? You know the answer: No.
Here’s the point:
Every contract is different because every newsroom is different. However, the research shows one common thing: union workplaces are paid better, have stronger camaraderie and have a seat at the table.
We will decide as a newsroom what we want to protect in our contract and what we want to improve.
Everyone working together will make this newsroom the strongest it can be.
Arizona Republic Guild